Monday, December 13, 2010

What comes next are records of molecules, not part of the entry =
********
{
  "formula": "C28H52BrEuN10O2",
  "method": "the ωB97M-V functional and the def2-TZVPD basis",
  "symbols": ["H", "H", "H", "N", "H", "C", "H", "H", "N", "C", "N", "C", "C", "H", "C", "H", "H", "H", "C", "H", "N", "O", "H", "C", "C", "C", "Eu", "H", "H", "C", "H", "H", "C", "C", "C", "N", "H", "C", "H", "C", "H", "H", "H", "H", "C", "H", "H", "H", "C", "C", "H", "H", "H", "H", "H", "H", "H", "H", "H", "H", "H", "N", "C", "H", "H", "Br", "H", "O", "H", "H", "H", "C", "C", "H", "H", "N", "H", "C", "H", "N", "C", "C", "N", "H", "H", "H", "C", "H", "C", "C", "C", "H", "N", "H"],
********
The entry goes on =

Baby its cold outside

~~~
Entry 1:
{
  "formula": "C8H19N5O9Zn",
  "method": "wB97M-V/def2-TZVPD",
  "fmax_ev_per_a": 14.38,
  "total_charge": -2,
  "orbital_gap_ha": 0.0794,
  "total_energy_ev": -82885.36004,
  "elements": ["H", "H", "H", "H", "H", "H", "C", "C", "C", "C", "N", "N", "N", "H", "O", "H", "N", "O", "H", "C", "O", "O", "H", "O", "C", "H", "Zn", "C", "H", "H", "H", "C", "O", "H", "H", "H", "N", "O", "H", "O", "H", "O"],
  "positions_angstrom": [[-5.817359, -0.770663, 5.346490], [-2.728940, -0.215246, 5.336103], [5.609328, -1.649252, -3.493112], [0.270620, -1.100049, 3.742953], [6.327572, 1.489943, -3.459197], [-5.107750, 0.738092, 5.695415], [-1.300892, -2.824002, -3.285000], [-0.640326, -1.360737, 4.281762], [-5.366378, 0.092172, 4.856364], [6.730168, -0.325337, -4.201579], [-2.563031, -2.570494, -3.382585], [5.978574, -0.732236, -3.286142], [-1.791923, 0.170006, 2.851553], [-0.489773, -2.431705, 4.417611], [-4.319128, -0.238358, 3.989908], [-2.837487, -1.606609, -3.257269], [6.748284, 0.985587, -4.226477], [7.227866, -1.077325, -4.984707], [-2.171187, -1.845386, 2.854135], [-1.669047, 4.591871, -3.326003], [-0.490954, -1.991999, -2.890919], [3.653187, 2.526430, 0.088072], [-0.597243, -0.956507, 5.293117], [4.242921, 4.423276, -0.758063], [-1.897085, -1.048470, 3.545429], [-2.748467, 0.486115, 2.779502], [0.406138, 1.909336, -0.960731], [-3.099292, -0.872531, 4.549386], [5.482667, -0.062695, -2.715266], [-1.452950, 0.744066, 3.610278], [-6.132048, 0.591990, 4.263041], [3.891283, 3.761357, 0.184566], [2.791342, 4.231115, 0.207359], [-3.206861, -1.898937, 4.900113], [-0.051456, -4.255118, -3.573216], [7.048868, 1.480557, -5.053978], [-1.033609, -4.073820, -3.422871], [-0.542709, 4.162624, -3.564804], [-3.195679, -3.332539, -3.580400], [-2.073738, 3.822412, -2.476825], [-1.683096, -4.726358, -3.838171], [-1.400410, 5.759424, -3.055844]],
  "atomic_forces_ev_per_a": [[-0.10, -0.47, -0.19], [-0.10, -0.01, 0.33], [-0.14, 0.13, 0.83], [-0.26, 0.57, -0.20], [0.07, 0.30, -0.54], [0.52, 0.40, -0.07], [2.03, 3.84, 2.46], [1.00, -1.36, 0.61], [-0.10, -0.27, 0.42], [1.20, 1.42, -2.69], [-4.26, 1.31, -0.75], [-4.16, -3.34, 5.52], [0.40, 1.33, -0.33], [-0.35, -0.27, 0.11], [1.89, -1.19, -0.18], [-0.32, -0.32, 0.02], [1.26, 3.99, -0.78], [1.97, -1.64, -2.71], [0.10, -0.19, -0.12], [4.70, 0.26, 6.12], [0.34, -0.18, -0.81], [4.96, -5.29, 3.08], [-0.03, 0.42, -0.03], [9.55, 5.11, -5.15], [-2.38, -0.31, 0.28], [-0.19, 0.43, -0.81], [0.02, 0.09, -0.03], [-0.04, -0.20, -0.05], [-0.41, -0.67, 0.02], [0.59, 1.13, -0.32], [0.10, -0.03, -0.04], [-3.64, -6.95, -4.50], [-10.75, 7.02, 6.46], [-1.08, 0.01, 0.60], [-0.18, -0.27, 0.16], [0.11, -0.12, 0.48], [2.42, -5.46, -1.12], [6.88, -4.20, -7.10], [-0.25, 0.78, 0.04], [-8.00, -3.92, 2.31], [0.26, 0.23, -0.03], [-3.61, 7.86, -1.31]]
}


Entry 2:
{
  "formula": "C8H19N6O4",
  "method": "wB97M-V/def2-TZVPD",
  "fmax_ev_per_a": 1.12,
  "total_charge": -1,
  "orbital_gap_ha": 0.1928,
  "total_energy_ev": -25731.65101,
~~~
Here the text continues

I again wasn't tired last night and there is nothing good on Sunday nights. The cold woke me up around 3:30AM and I went up to bed. It was bitter cold today - for those not around here we were under 0 with the windchill. Ellie was up first and then Nick and I decided we should get out of bed. Layers, layers and more layers - that was the theme of today. I made pancakes and sausages for the kids - it was too cold to think about cold cereal for breakfast. We got Ellie really bundled for her wait at the bus stop - snow pants, parka, boots, scarf, gloves, hat and I sent her out late so she wouldn't be out there too long.
The unfortunate thing about being a procrastinator is that today was property tax deadline day and I don't believe in pre-paying the county any money so I needed to go out today. I warmed the car up for a good 15 minutes and made Nick into Randy from Christmas Story and we braved the cold. The nice thing was the sunshine was fully out today but it really made little difference in the whipping wind. We took the ultimate lazy route and went to the drive up bank lane so we didn't have to get out of the car - taxes paid. I didn't think ahead in all my online ordering for teacher gifts for Ellie and Nick - I took care of Rob's co-workers but forgot teachers. For Nick I wanted to get the high school girls a little something too - so we headed to Bath & Body Works to pick up a bunch of the $1.00 lotions and hey they have all the wrapping stuff there so it was one stop shopping. We got there about 30 minutes before they opened so we went to Walmart - it was just a couple stores down and that is when we noticed it was really cold out.
We took our time walking through Walmart - I was able to pick up all the makings for Snowman Soup - hot cocoa, marshmallows and peppermint sticks. I was also able to get most of the makings for the snowmen sundaes we are making for Ellie's class on Friday. We finished shopping just in time for Bath & Body to be open but the we were walking against the wind to the car - poor Nick's nose was a faucet and his cheeks were bright red. We did our Bath & Body run and luckily they had everything we needed. We did a quick Jewel run - not my favorite place grocery shop but we were there. We dropped by the post office to mail our cards out and then we came home.
I made lunch for us and got the packing line ready to start assembling the snowman soup for Nick's classmates and teachers. I got Nick set up decorating cards for his teachers - he is really good at getting the sticker foams off of the paper. I was able to wrap up the lotions for the high school girls and emailed for the girls names to make it a bit more personal. It was time to brave the cold and get Ellie from the bus - layered on the clothing - again. Nick has been dying to play out in the snow and he took advantage of our walk to get Ellie to do so - the crazy boy was trying to make snow angels. Ellie was a great help and took off Nick's cold and wet boots when we got home - trust me my hands have been abused today. It begins with a gush of tinglies but turns to a painful burning sensation very quickly.
I made hot cocoa and Ellie did her homework. Rob let me know he was going to get a haircut before heading home. We got to catch up with our friend, Steve, he called us and filled us in on their family happenings. Ellie and I went on the computer and tried to decide what holiday cookies we are making this year - I figure I have this weekend to get them done. We put a list of ingredients together and checked through the cabinets before making a grocery list. Rob distracted Nick with a bath while Ellie and I went to Aldi and Target. I was able to get a bunch of what I needed at Aldi but they didn't have everything. I was able to find baking kisses at Target and Ellie got to pick out her breakfast favorites. We got some stuff for dinner and came home.
It was left over night plus the veggies and fruit we had picked up. Rob and the kids vacuumed the basement while I got dinner going and then took a quick shower. We had dinner and got ready for bed. Rob took Nick up and Ellie I started watching Sing-Off. Ellie went up to bed and here I sit blogging. I need to get a nice warm cup of something because my fingers are freezing between typing and the cold of the back room. Slight lower back pain today but otherwise I am doing great. Visualising my healthy and continually recovering body and the new normal me - whomever that shall be, Tree

1 comment:

== Calculated molecules, kept here for reference ==
Entry 1:
Molecular formula: C17H21BrO3S2
Method: DFT, ωB97M-V/def2-TZVPD

Orbital gap = 8.56 eV
Net charge = 0
Multiplicity = 1

```
44
Properties=species:S:1:pos:R:3:forces:R:3:mulliken_charge:R:1
Br 2.88124 -3.34232 0.14181 -1.114 0.739 0.536 -0.11
S 1.56346 2.15556 2.80251 0.310 -0.606 -0.859 -0.17
S 1.54240 2.85216 -0.97288 6.062 3.612 0.039 1.34
O 0.46400 -0.12279 1.80358 0.112 -0.040 -1.590 -0.26
O 2.98392 2.62835 -1.56999 -5.198 -0.134 1.595 -0.70
O 1.56028 4.13198 -0.10323 -1.391 -4.294 -2.459 -0.63
C 2.91645 -1.95929 3.71878 -4.534 3.965 -7.891 -0.95
C 1.09107 1.27688 -0.06622 -1.151 -1.745 1.166 0.21
C -4.05063 -0.84168 -1.01143 1.817 1.754 1.876 -0.32
C 0.48903 1.33743 1.45738 0.120 -0.811 0.413 0.10
C 1.10743 -2.40185 0.50410 -1.250 0.758 -0.783 -0.47
C 2.27521 0.12178 0.17435 -0.327 0.755 -0.496 -0.57
C -1.03646 1.95766 1.69735 -0.713 -1.255 -0.434 -0.86
C -3.46180 0.58326 -1.62774 1.465 -0.938 3.937 -0.51
C -2.72874 -0.41906 1.43725 -0.553 1.275 -3.240 -0.17
C -2.07828 0.99852 0.83785 -2.333 -1.164 -2.498 0.30
C 0.27517 -2.29347 -0.90620 -0.402 -1.104 -0.526 0.30
C -3.72333 -1.36852 0.53630 2.235 4.327 -1.533 -0.47
C 0.77738 -3.37512 -2.06232 -1.324 0.284 -0.536 -1.22
C -2.45970 1.52898 -0.70035 -1.534 -4.396 2.152 -0.33
C 0.41098 3.09294 -2.48910 -0.840 -0.258 -0.899 -0.87
C 2.40695 -1.44194 2.48935 3.016 -3.178 8.729 -0.44
C 1.51722 -0.94778 1.16222 1.275 0.130 1.522 1.12
H 0.24174 0.83282 -0.73752 1.462 0.678 1.272 -0.16
H -1.34398 1.96020 2.84855 0.976 -0.277 -2.546 0.44
H 0.12298 2.04396 -2.96401 0.595 2.169 1.252 0.26
H -2.41791 -0.68363 2.55345 -0.809 0.477 -2.741 0.25
H 1.75707 -3.02232 -2.61062 -1.926 -0.918 1.345 0.31
H -0.85028 -2.59138 -0.66514 2.361 0.952 -0.447 0.11
H -1.97611 2.53534 -1.06062 -1.257 -2.232 0.670 0.31
H 0.48890 -3.07470 1.23666 1.544 1.472 -1.211 0.55
H -1.11614 3.06914 1.33628 0.372 -2.217 0.461 0.37
H 1.05097 3.66191 -3.28923 -0.967 -1.047 1.920 0.39
H 3.01458 -2.20787 4.88231 -0.091 0.733 -3.389 0.33
H 3.13426 0.58156 0.83681 -1.542 -0.865 -1.947 0.38
H 2.68972 1.31317 2.89222 -1.412 0.582 -0.417 0.14
H 0.83371 -4.47643 -1.64604 0.167 2.392 -0.807 0.34
H -0.55433 3.73011 -2.23531 2.170 -1.437 -0.312 0.30
H -4.74732 -1.53442 -1.68743 1.728 1.837 1.610 0.28
H -0.09719 -3.38800 -2.87483 1.908 0.080 1.649 0.35
H 2.58205 -0.24672 -0.91742 -0.302 0.510 2.853 0.29
H -4.14568 -2.38103 0.98339 0.952 2.469 -1.202 0.31
H -3.68251 0.96551 -2.72076 0.294 -1.136 2.500 0.29
H 0.29221 -1.23891 -1.41409 0.028 -1.898 1.270 -0.17
```
Forces are in eV/Å.

=====

Entry 2:
Molecular formula: C17H21Cl16F8NO4S
Method: DFT, ωB97M-V/def2-TZVPD

Orbital gap = 9.92 eV
Net charge = 0
Multiplicity = 1

```
68
Properties=species:S:1:pos:R:3:forces:R:3:mulliken_charge:R:1
Cl 2.14029 6.11393 -7.79486 -0.054 0.015 0.046 -0.09
Cl 3.67980 4.36708 -1.08140 0.248 0.999 -0.581 0.00
Cl -0.97215 -4.24293 -1.26711 0.150 -0.454 -0.337 0.01
Cl 4.31254 7.12729 -1.67828 -0.005 -0.055 -0.046 -0.11

  1. Can you say multi-tasker? You had an incredibly productive day. Congrats. You know, it only costs a buck to pay your taxes online...just something to think about. I missed you today, but I needed to fulfill my obligation to friendship...we'll talk in the morning. Remind me we need to talk about Wednesday night...maybe we can switch venues? Love ya, Mom
